**Exercise:**
Your job: print all of the listing underneath exactly.
**Material:**
+++
(1)
# Pm4TlSbC | Alexandria | PBE | relaxed
data_Pm4TlSbC
_cell_length_a 7.035
_cell_length_b 16.271
_cell_length_c 7.028
_cell_angle_alpha 90.00
_cell_angle_beta 90.00
_cell_angle_gamma 90.00
_symmetry_space_group_name_H-M 'C m c m'
_symmetry_Int_Tables_number 63
_symmetry_space_group_name_Hall '-C 2c 2'
loop_
_atom_site_label
_atom_site_type_symbol
_atom_site_fract_x
_atom_site_fract_y
_atom_site_fract_z
Pm1 Pm 0.000 0.088 0.250
Pm2 Pm 0.000 0.410 0.250
Pm3 Pm 0.250 0.250 0.000
Tl1 Tl 0.000 0.111 0.750
Sb1 Sb 0.000 0.389 0.750
C1 C 0.000 0.251 0.250
# Calculated density (g cm⁻³): 7.6
# Energy relative to the elements, uncorrected (kcal/mol of atoms): -12.1
# Volume (Å³ per atom): 28.73
# Total moment (μB/f.u.): 0.00

***

(2)
# La2TmGa3Pt4 | Alexandria | PBE | relaxed
data_La2TmGa3Pt4
_cell_length_a 4.318
_cell_length_b 4.318
_cell_length_c 11.298
_cell_angle_alpha 90.00
_cell_angle_beta 90.00
_cell_angle_gamma 90.00
_symmetry_space_group_name_H-M 'P -4 m 2'
_symmetry_Int_Tables_number 115
_symmetry_space_group_name_Hall 'P -4 -2'
loop_
_atom_site_label
_atom_site_type_symbol
_atom_site_fract_x
_atom_site_fract_y
_atom_site_fract_z
La1 La 0.000 0.500 0.231
Tm1 Tm 0.000 0.000 0.500
Ga1 Ga 0.000 0.500 0.879
Ga2 Ga 0.500 0.500 0.500
Pt1 Pt 0.000 0.000 0.000
Pt2 Pt 0.000 0.500 0.654
Pt3 Pt 0.500 0.500 0.000
# Calculated density (g cm⁻³): 11.3
# Volume (Å³ per atom): 21.07
# Total moment (μB/f.u.): 0.00
# Energy of formation from the pure elements (eV/f.u.): -10.3

***

(3)
# MgCuSe3 | Alexandria | PBE | relaxed
data_MgCuSe3
_cell_length_a 4.823
_cell_length_b 4.823
_cell_length_c 4.823
_cell_angle_alpha 90.00
_cell_angle_beta 90.00
_cell_angle_gamma 90.00
_symmetry_space_group_name_H-M 'P m -3 m'
_symmetry_Int_Tables_number 221
_symmetry_space_group_name_Hall '-P 4 2 3'
loop_
_atom_site_label
_atom_site_type_symbol
_atom_site_fract_x
_atom_site_fract_y
_atom_site_fract_z
Mg1 Mg 0.000 0.000 0.000
Cu1 Cu 0.500 0.500 0.500
Se1 Se 0.000 0.500 0.500
# Calculated density (g cm⁻³): 4.8
# Energy relative to the elements, uncorrected (kcal/mol of atoms): 2.4
# Relative energy among the computed polymorphs (meV/atom): 346
# Volume (Å³ per atom): 22.44
# Total moment (μB/f.u.): 0.00

***

(4)
# ZrTl2As | Alexandria | PBE | relaxed
data_ZrTl2As
_cell_length_a 16.328
_cell_length_b 3.555
_cell_length_c 3.960
_cell_angle_alpha 90.00
_cell_angle_beta 103.78
_cell_angle_gamma 90.00
_symmetry_space_group_name_H-M 'C 1 2/m 1'
_symmetry_Int_Tables_number 12
_symmetry_space_group_name_Hall '-C 2y'
loop_
_atom_site_label
_atom_site_type_symbol
_atom_site_fract_x
_atom_site_fract_y
_atom_site_fract_z
Zr1 Zr 0.000 0.000 0.000
Tl1 Tl 0.180 0.500 0.180
As1 As 0.000 0.500 0.500
# Calculated density (g cm⁻³): 8.6
# Relative energy among the computed polymorphs (meV/atom): 29
# Volume (Å³ per atom): 27.90
# Total moment (μB/f.u.): 0.00
# Energy of formation from the pure elements (eV/f.u.): -1.0

***

(5)
# EuGd2Al | Alexandria | PBE | relaxed
data_EuGd2Al
_cell_length_a 3.759
_cell_length_b 3.759
_cell_length_c 8.482
_cell_angle_alpha 90.00
_cell_angle_beta 90.00
_cell_angle_gamma 90.00
_symmetry_space_group_name_H-M 'P 4/m m m'
_symmetry_Int_Tables_number 123
_symmetry_space_group_name_Hall '-P 4 2'
loop_
_atom_site_label
_atom_site_type_symbol
_atom_site_fract_x
_atom_site_fract_y
_atom_site_fract_z
Eu1 Eu 0.000 0.000 0.000
Gd1 Gd 0.500 0.500 0.301
Al1 Al 0.000 0.000 0.500
# Calculated density (g cm⁻³): 6.8
# Relative energy among the computed polymorphs (meV/atom): 0
# Volume (Å³ per atom): 29.97
# Total moment (μB/f.u.): 22.61
# Energy of formation from the pure elements (eV/f.u.): -0.6

***

(6)
# BePbAu2 | Alexandria | PBE | relaxed
data_BePbAu2
_cell_length_a 4.237
_cell_length_b 4.237
_cell_length_c 8.483
_cell_angle_alpha 90.00
_cell_angle_beta 90.00
_cell_angle_gamma 90.00
_symmetry_space_group_name_H-M 'I -4 m 2'
_symmetry_Int_Tables_number 119
_symmetry_space_group_name_Hall 'I -4 -2'
loop_
_atom_site_label
_atom_site_type_symbol
+++
**Written answer:**
(1)
# Pm4TlSbC | Alexandria | PBE | relaxed
data_Pm4TlSbC
_cell_length_a 7.035
_cell_length_b 16.271
_cell_length_c 7.028
_cell_angle_alpha 90.00
_cell_angle_beta 90.00
_cell_angle_gamma 90.00
_symmetry_space_group_name_H-M 'C m c m'
_symmetry_Int_Tables_number 63
_symmetry_space_group_name_Hall '-C 2c 2'
loop_
_atom_site_label
_atom_site_type_symbol
_atom_site_fract_x
_atom_site_fract_y
_atom_site_fract_z
Pm1 Pm 0.000 0.088 0.250
Pm2 Pm 0.000 0.410 0.250
Pm3 Pm 0.250 0.250 0.000
Tl1 Tl 0.000 0.111 0.750
Sb1 Sb 0.000 0.389 0.750
C1 C 0.000 0.251 0.250
# Calculated density (g cm⁻³): 7.6
# Energy relative to the elements, uncorrected (kcal/mol of atoms): -12.1
# Volume (Å³ per atom): 28.73
# Total moment (μB/f.u.): 0.00

***

(2)
# La2TmGa3Pt4 | Alexandria | PBE | relaxed
data_La2TmGa3Pt4
_cell_length_a 4.318
_cell_length_b 4.318
_cell_length_c 11.298
_cell_angle_alpha 90.00
_cell_angle_beta 90.00
_cell_angle_gamma 90.00
_symmetry_space_group_name_H-M 'P -4 m 2'
_symmetry_Int_Tables_number 115
_symmetry_space_group_name_Hall 'P -4 -2'
loop_
_atom_site_label
_atom_site_type_symbol
_atom_site_fract_x
_atom_site_fract_y
_atom_site_fract_z
La1 La 0.000 0.500 0.231
Tm1 Tm 0.000 0.000 0.500
Ga1 Ga 0.000 0.500 0.879
Ga2 Ga 0.500 0.500 0.500
Pt1 Pt 0.000 0.000 0.000
Pt2 Pt 0.000 0.500 0.654
Pt3 Pt 0.500 0.500 0.000
# Calculated density (g cm⁻³): 11.3
# Volume (Å³ per atom): 21.07
# Total moment (μB/f.u.): 0.00
# Energy of formation from the pure elements (eV/f.u.): -10.3

***

(3)
# MgCuSe3 | Alexandria | PBE | relaxed
data_MgCuSe3
_cell_length_a 4.823
_cell_length_b 4.823
_cell_length_c 4.823
_cell_angle_alpha 90.00
_cell_angle_beta 90.00
_cell_angle_gamma 90.00
_symmetry_space_group_name_H-M 'P m -3 m'
_symmetry_Int_Tables_number 221
_symmetry_space_group_name_Hall '-P 4 2 3'
loop_
_atom_site_label
_atom_site_type_symbol
_atom_site_fract_x
_atom_site_fract_y
_atom_site_fract_z
Mg1 Mg 0.000 0.000 0.000
Cu1 Cu 0.500 0.500 0.500
Se1 Se 0.000 0.500 0.500
# Calculated density (g cm⁻³): 4.8
# Energy relative to the elements, uncorrected (kcal/mol of atoms): 2.4
# Relative energy among the computed polymorphs (meV/atom): 346
# Volume (Å³ per atom): 22.44
# Total moment (μB/f.u.): 0.00

***

(4)
# ZrTl2As | Alexandria | PBE | relaxed
data_ZrTl2As
_cell_length_a 16.328
_cell_length_b 3.555
_cell_length_c 3.960
_cell_angle_alpha 90.00
_cell_angle_beta 103.78
_cell_angle_gamma 90.00
_symmetry_space_group_name_H-M 'C 1 2/m 1'
_symmetry_Int_Tables_number 12
_symmetry_space_group_name_Hall '-C 2y'
loop_
_atom_site_label
_atom_site_type_symbol
_atom_site_fract_x
_atom_site_fract_y
_atom_site_fract_z
Zr1 Zr 0.000 0.000 0.000
Tl1 Tl 0.180 0.500 0.180
As1 As 0.000 0.500 0.500
# Calculated density (g cm⁻³): 8.6
# Relative energy among the computed polymorphs (meV/atom): 29
# Volume (Å³ per atom): 27.90
# Total moment (μB/f.u.): 0.00
# Energy of formation from the pure elements (eV/f.u.): -1.0

***

(5)
# EuGd2Al | Alexandria | PBE | relaxed
data_EuGd2Al
_cell_length_a 3.759
_cell_length_b 3.759
_cell_length_c 8.482
_cell_angle_alpha 90.00
_cell_angle_beta 90.00
_cell_angle_gamma 90.00
_symmetry_space_group_name_H-M 'P 4/m m m'
_symmetry_Int_Tables_number 123
_symmetry_space_group_name_Hall '-P 4 2'
loop_
_atom_site_label
_atom_site_type_symbol
_atom_site_fract_x
_atom_site_fract_y
_atom_site_fract_z
Eu1 Eu 0.000 0.000 0.000
Gd1 Gd 0.500 0.500 0.301
Al1 Al 0.000 0.000 0.500
# Calculated density (g cm⁻³): 6.8
# Relative energy among the computed polymorphs (meV/atom): 0
# Volume (Å³ per atom): 29.97
# Total moment (μB/f.u.): 22.61
# Energy of formation from the pure elements (eV/f.u.): -0.6

***

(6)
# BePbAu2 | Alexandria | PBE | relaxed
data_BePbAu2
_cell_length_a 4.237
_cell_length_b 4.237
_cell_length_c 8.483
_cell_angle_alpha 90.00
_cell_angle_beta 90.00
_cell_angle_gamma 90.00
_symmetry_space_group_name_H-M 'I -4 m 2'
_symmetry_Int_Tables_number 119
_symmetry_space_group_name_Hall 'I -4 -2'
loop_
_atom_site_label
_atom_site_type_symbol